Posts Tagged “Irish Dance”
Between two parts of the entry: calculated crystals
'''
VASP calculation (GGA-PBE) on a relaxed structure of CuIr6Rh5.

```
CuIr6Rh5
1.0
-1.924 3.852 5.771
1.924 -3.852 5.771
1.924 3.852 -5.771
Cu Ir Rh
1 6 5
Cartesian
0.000 0.000 0.000 Cu
1.924 -1.928 3.854 Ir
1.924 1.938 0.000 Ir
0.000 1.924 1.917 Ir
1.924 1.928 3.854 Ir
0.000 1.914 5.771 Ir
0.000 5.780 1.917 Ir
1.924 0.000 1.929 Rh
0.000 0.000 3.827 Rh
0.000 3.852 0.000 Rh
0.000 0.000 7.716 Rh
0.000 3.852 3.842 Rh
'''
End of the calculated crystals
The “best laid plans” and all that. This summer has been so ridiculously busy, and you can tell partly because I haven’t updated much. If you follow me on Facebook you have *some* idea of what has been going on, but let’s head back a few months to when school got out. Yes, it’s been…
Last weekend Dela competed in the 2017 Emerald City Feis, the local Irish dance competition that is coincidentally hosted by the school she attends. The call goes out every year for volunteers and every year I never find the time. This year, however, I managed to help set up the stages, which is a lot…
Strap in, this is going to be a big one. The first seven pictures should have been included with my previous installment. Or at the very least, a “part 2”. Here are Xavier and Tevye working on a robot. The annual Boy Scout Italian Dinner was a big success and both Ciaran and August helped…
I know it’s been over a month. I should write a post about the issues I have had with getting a new phone then attempting to connect it to my computer. But I won’t. Let’s catch up, shall we? Here is Tevye after finding some of the super hero dress up items. Well, somebody is eating…
It’s been a month? Jeez, for what is supposed to be a weekly posting I sure have been lax. Having a new baby is no excuse… Let’s get to it. There was another dance competition this summer. This was across Lake Washington in Bellevue and would be Dela’s first feis (pronounced “fesh”) outside of the…
This past weekend Déla competed in the 2016 Emerald City Feis. This annual competition is just one of many held around the country, but the only one held here in Seattle. She competed in several dances, with the first one at 8:30 in the morning, the first dance of the day. Only problem was, we…
To say this was a crazy busy weekend would be an understatement. Here is an overview of what we went through. Déla and I got up and left the house about 7:40, a little later than we had hoped. We had to get downtown to the convention center where she was competing in the Emerald…
These crystal structures were left in the entry by mistake >
┌──
i.
# TlSn3O (GGA-PBE, optimized geometry)
# - Mass density: 7866 kg/m³
# - Spin magnetization: 0.000 μB per formula unit
data_TlSn3O
_cell_length_a 4.956
_cell_length_b 4.956
_cell_length_c 4.956
_cell_angle_alpha 90.00
_cell_angle_beta 90.00
_cell_angle_gamma 90.00
_space_group_name_H-M_alt 'P m -3 m'
_space_group_IT_number 221
_space_group_name_Hall '-P 4 2 3'
loop_
_atom_site_label
_atom_site_fract_x
_atom_site_fract_y
_atom_site_fract_z
Tl1 0.000 0.000 0.000
Sn1 0.000 0.500 0.500
O1 0.500 0.500 0.500



ii.
# TlSn3O (GGA-PBE, optimized geometry)
# - Mass density: 5092 kg/m³
# - Spin magnetization: 0.000 μB per formula unit
data_TlSn3O
_cell_length_a 5.729
_cell_length_b 5.729
_cell_length_c 5.729
_cell_angle_alpha 90.00
_cell_angle_beta 90.00
_cell_angle_gamma 90.00
_space_group_name_H-M_alt 'P m -3 m'
_space_group_IT_number 221
_space_group_name_Hall '-P 4 2 3'
loop_
_atom_site_label
_atom_site_fract_x
_atom_site_fract_y
_atom_site_fract_z
Tl1 0.000 0.000 0.000
Sn1 0.000 0.000 0.500
O1 0.500 0.500 0.500



i ends up most stable, edging out the next structure by 129.6 kJ/mol of atoms.



i.
# Tl3SnO (GGA-PBE, optimized geometry)
# - Mass density: 6337 kg/m³
# - Spin magnetization: 0.000 μB per formula unit
data_Tl3SnO
_cell_length_a 5.809
_cell_length_b 5.809
_cell_length_c 5.809
_cell_angle_alpha 90.00
_cell_angle_beta 90.00
_cell_angle_gamma 90.00
_space_group_name_H-M_alt 'P m -3 m'
_space_group_IT_number 221
_space_group_name_Hall '-P 4 2 3'
loop_
_atom_site_label
_atom_site_fract_x
_atom_site_fract_y
_atom_site_fract_z
Tl1 0.000 0.000 0.500
Sn1 0.000 0.000 0.000
O1 0.500 0.500 0.500



ii.
# Tl3SnO (GGA-PBE, optimized geometry)
# - Mass density: 9471 kg/m³
# - Spin magnetization: 0.000 μB per formula unit
data_Tl3SnO
_cell_length_a 5.080
_cell_length_b 5.080
_cell_length_c 5.080
_cell_angle_alpha 90.00
_cell_angle_beta 90.00
_cell_angle_gamma 90.00
_space_group_name_H-M_alt 'P m -3 m'
_space_group_IT_number 221
_space_group_name_Hall '-P 4 2 3'
loop_
_atom_site_label
_atom_site_fract_x
_atom_site_fract_y
_atom_site_fract_z
Tl1 0.000 0.000 0.500
Sn1 0.500 0.500 0.500
O1 0.000 0.000 0.000



ii ends up most stable, edging out the next structure by 71.7 kJ/mol of atoms.



i.
# Tl2SnO (GGA-PBE, optimized geometry)
# - Mass density: 9677 kg/m³
# - Spin magnetization: 0.000 μB per formula unit
data_Tl2SnO
_cell_length_a 7.199
_cell_length_b 7.199
_cell_length_c 7.199
_cell_angle_alpha 90.00
_cell_angle_beta 90.00
_cell_angle_gamma 90.00
_space_group_name_H-M_alt 'F m -3 m'
_space_group_IT_number 225
_space_group_name_Hall '-F 4 2 3'
loop_
_atom_site_label
_atom_site_fract_x
_atom_site_fract_y
_atom_site_fract_z
Tl1 0.250 0.250 0.250
Sn1 0.000 0.000 0.000
O1 0.000 0.000 0.500



ii.
# Tl2SnO (GGA-PBE, optimized geometry)
# - Mass density: 8787 kg/m³
# - Spin magnetization: 0.000 μB per formula unit
data_Tl2SnO
_cell_length_a 7.194
_cell_length_b 7.194
_cell_length_c 7.937
_cell_angle_alpha 90.00
_cell_angle_beta 90.00
_cell_angle_gamma 90.00
└──
The entry goes on >
A lot has been going the last couple of weeks. unfortunately there are events where I couldn’t get a good picture or things were so busy I simply didn’t get to take one. Here is what I did manage to get. One night was Sounder’s night for the youth group, so I was able to…
This batch of pictures is going to be kind of big. There are a number of shots from St. Patrick’s Day celebrations and performances, but not necessarily of Déla dancing, which is why I didn’t include them in the previous post. Case in point. Here is Ciarán who came along to one of Déla’s performances…